Enhancing The Cloud and Colocation Offering in Central America with Codisa’s Diego Cardoza

Enhancing The Cloud and Colocation Offering in Central America with Codisa’s Diego Cardoza

### Misplaced data records
____________
--- w ---
## MgSc2Ag2O6 (PBE-GGA)

Data for MgSc2Ag2O6 after structural relaxation.

For the total magnetic moment, the calculation gives 0.0 μB per formula unit. Its volume is 13.9 A^3/atom.

Unit cell a=6.895 b=6.891 c=3.276 alpha=90.01 beta=90.01 gamma=78.29
Fractional coordinates of all 11 atoms:
Ag (0.496, 0.495, 0.500)
Ag (0.015, 0.014, 0.500)
O (0.184, 0.526, 0.500)
O (0.527, 0.184, 0.500)
O (0.821, 0.475, 0.500)
O (0.859, 0.858, 0.000)
O (0.153, 0.153, 0.000)
O (0.475, 0.821, 0.500)
Sc (0.036, 0.448, 0.000)
Sc (0.448, 0.036, 0.000)
Mg (0.763, 0.763, 0.500)

=====

--- x ---
## MgSc2Ag2O6 (PBE-GGA)

Data for MgSc2Ag2O6 after structural relaxation.

For the total magnetic moment, the calculation gives 0.0 μB per formula unit. Its volume is 14.3 A^3/atom.

Unit cell a=7.221 b=7.220 c=3.075 alpha=90.00 beta=90.00 gamma=79.67
Fractional coordinates of all 11 atoms:
O (0.509, 0.815, 0.500)
O (0.183, 0.504, 0.500)
O (0.504, 0.183, 0.500)
O (0.136, 0.136, 0.000)
O (0.875, 0.874, 0.000)
O (0.815, 0.509, 0.500)
Ag (0.485, 0.485, 0.500)
Ag (0.997, 0.996, 0.500)
Sc (0.431, 0.040, 0.000)
Sc (0.040, 0.431, 0.000)
Mg (0.698, 0.698, 0.000)

=====

Which one sits at the bottom of the stability order? x does.

=====

--- w ---
## MgSi2Ag8O8 (PBE-GGA)

Data for MgSi2Ag8O8 after structural relaxation.

For the total magnetic moment, the calculation gives 0.0 μB per formula unit. Its volume is 16.0 A^3/atom.

Unit cell a=5.107 b=7.712 c=7.712 alpha=90.00 beta=90.00 gamma=90.00
Fractional coordinates of all 19 atoms:
Ag (0.238, 0.343, 0.934)
Ag (0.262, 0.566, 0.343)
Ag (0.666, 0.116, 0.874)
Ag (0.262, 0.934, 0.157)
Ag (0.238, 0.157, 0.566)
Ag (0.834, 0.626, 0.116)
Ag (0.666, 0.384, 0.626)
Ag (0.834, 0.874, 0.384)
Mg (0.750, 0.750, 0.750)
O (0.455, 0.908, 0.699)
O (0.560, 0.412, 0.183)
O (0.940, 0.317, 0.412)
O (0.455, 0.592, 0.801)
O (0.940, 0.183, 0.088)
O (0.045, 0.699, 0.592)
O (0.045, 0.801, 0.908)
O (0.560, 0.088, 0.317)
Si (0.750, 0.250, 0.250)
Si (0.250, 0.750, 0.750)

=====

--- x ---
## MgSi2Ag8O8 (PBE-GGA)

Data for MgSi2Ag8O8 after structural relaxation.

For the total magnetic moment, the calculation gives 0.0 μB per formula unit. Its volume is 14.4 A^3/atom.

Unit cell a=6.214 b=6.553 c=6.729 alpha=95.02 beta=90.00 gamma=90.00
Fractional coordinates of all 19 atoms:
Ag (0.707, 0.678, 0.032)
Ag (0.339, 0.546, 0.321)
Ag (0.707, 0.822, 0.468)
Ag (0.339, 0.954, 0.179)
Ag (0.078, 0.096, 0.497)
Ag (0.905, 0.041, 0.858)
Ag (0.905, 0.459, 0.642)
Ag (0.078, 0.404, 0.003)
O (0.169, 0.758, 0.949)
O (0.493, 0.950, 0.762)
O (0.490, 0.198, 0.436)
O (0.490, 0.302, 0.064)
O (0.808, 0.457, 0.303)
O (0.808, 0.043, 0.197)
O (0.169, 0.742, 0.551)
O (0.493, 0.550, 0.738)
Mg (0.485, 0.250, 0.750)
Si (0.332, 0.750, 0.750)
Si (0.655, 0.250, 0.250)

=====

Which one sits at the bottom of the stability order? w does.

=====

--- w ---
## Sr2MgAg2O4 (PBE-GGA)

Data for Sr2MgAg2O4 after structural relaxation.
____________

Codisa is a Costa Rican network service provider who recently built the world’s first DCOS-5 certified data center, and developed an all-new regional cloud offering called Nube 4.0 with hardware vendor Grupo CMA.

These ventures have enhanced the way cloud and colocation is offered in Central America, so we gained insights from Codisa’s General Manager, Diego Cardoza, to find out how they’re shaping the region’s network industry.

Responding to high regional demand for cloud and colocation

Now more than ever, people and businesses across Central America are turning to digital functions to support their previously manual, or on-premise operations, which has triggered all new levels of regional demand.

“The demand for colocation and cloud services has been on the rise here for some time now, starting well before the pandemic hit in 2020,” says Diego Cardoza, General Manager, Codisa Data Center.

“But now, the virtualization of many activities, connection availability, flexibility, and scalability are more necessary than ever,” he says, “and that’s why cloud services are growing more rapidly in Central America right now, particularly in Costa Rica.”

Where there is demand, there ought to ought to be equal supply, so Codisa made it their mission to capture the cloud and colocation requirements of organizations based in their area.

Putting the customer first in strategic decision-making

In any industry, customer-oriented decisions are the ones that most often lead to success, and that’s certainly been the case for Codisa as they deployed the world-first DCOS-5 certified data center and their Nube 4.0 offering.

“By individually assessing every customer’s true infrastructure needs, we found that more than 80% of our clients were previously running in a four-times oversized infrastructure,” Cardoza says.

From this, they realized that too many local enterprises were spending far more than was necessary to access cloud and colocation services suited to their requirements.

“After adopting this people-first approach, one of our clients reported almost $1 million in cost savings in aspects such as software licensing once they moved to Nube 4.0, and they’ve now been running with us for more than five years,” Cardoza says.

Providing certified solutions that meet international standards

It is one thing to provide a service that satisfies customers’ evolving needs, but it is another to ensure the service itself is legitimate and trustworthy.

That’s why Codisa sought to construct a world-first DCOS-5 certified data center – that is, a facility that has a certified Data Center Operations Standard (DCOS) with the highest level of maturity, according to EPI.

“In 2017, Codisa was the first data center in Latin America to achieve Maturity Level 4, and two years later, we achieved Maturity Level 5 for all eleven criteria that are evaluated through a very strict audit process,” Cardoza says.

“Having this DCOS certification for our data center means that our clients can trust that our services are delivered at world-class standards, and that they are totally reliable and legitimate.”

Other certifications which Cardoza notes as important include Uptime Institute’s M&O and TCOS, ISO 9001, ISO 50001, PCI, LEED, among others.

Utilizing industry experience to drive the future of network service provision

For a market that is still coming to grips with network and digital connectivity, experience and trust go hand-in-hand when it comes to choosing the right service provider to fulfil certain requirements.

“One of the main reasons why Codisa continues to see high demand for our cloud services is because of the market’s trust in the company and in our history,” Cardoza says.

“After being the first operational Uptime-certified data center in Central America and the first local-based public cloud, Codisa was able to show these organizations how efficient it is to operate from the cloud and to let managers focus on their core business rather than worrying about facilities and infrastructure.”

And with this level of competition coming from one of the market leaders in Central America, the quality of network services is bound to ramp up.

For businesses in and around the region, this means that as the industry grows, opportunities to digitize and automate business processes will grow too.

Want to know more?

Are you looking to source cloud or colocation services to enhance your business across Central America and the world? Head to Codisa’s page on Cloudscene to see what they can do for your organization, or reach out to Cloudscene’s team of experts in cloud and colocation, for assistance with your next Central American or global project.

Contributor: Diego Cardoza, General Manager, Codisa Data Center

Diego Cardoza, General Manager, Codisa

Diego Cardoza works as Data Center Manager at Codisa, a company that he has joined for more than 15 years. He is an Industrial Engineer from the University of Costa Rica and has various certifications, among which are Accredited Tier Specialist, Accredited Tier Designer and Accredited Operation Specialist Professional from the Uptime Institute, being the first person in Latin America to obtain this level in this statement. He is also Certified Data Center Facilities Operations Manager and Certified Data Center Professional from EPI as well as Critical Operations Professional, Energy Efficiency Best Practices from DCProfessional Development and ITIL Foundation among others.